[Input]
'''
Computed, not measured: Y2HoRu3 after structural relaxation at the PBE level of DFT.

Calculated values
**ρ**: 9076 kg/m3
**D(E_F)**: 6.89 states/eV per cell
**Raw total energy**: -7.86 eV/atom

Lattice parameters (Å, degrees): 3.4140 4.8028 7.5969 108.43 90.00 90.00
With the nearest neighbours (Å) after each atom.
Sites, in units of the cell vectors:
Y: 0.0000 0.3334 0.6669  8 Ru 2.95-2.97
Y: 0.0000 0.6666 0.3331  8 Ru 2.95-2.97
Ho: 0.0000 0.0000 0.0000  8 Ru 2.93-2.95
Ru: 0.5000 0.5000 0.0000  4 Y 2.95, 4 Ho 2.95
Ru: 0.5000 0.8352 0.6704  2 Ho 2.93, 6 Y 2.95-2.97
Ru: 0.5000 0.1648 0.3296  2 Ho 2.93, 6 Y 2.95-2.97

=====

Computed, not measured: CsPr4Te6 after structural relaxation at the PBE level of DFT.

Calculated values
**ρ**: 5603 kg/m3
**D(E_F)**: 3.37 states/eV per cell
**Raw total energy**: -4.72 eV/atom

Lattice parameters (Å, degrees): 8.3735 8.3735 8.3735 95.77 116.72 116.72
With the nearest neighbours (Å) after each atom.
Sites, in units of the cell vectors:
Cs: 0.0000 0.0000 0.0000  8 Te 4.00-4.39, 4 Pr 4.01
Pr: 0.0000 0.2108 0.5912  6 Te 3.10-3.38
Pr: 0.6196 0.4088 0.4088  6 Te 3.10-3.38
Pr: 0.0000 0.5912 0.2108  6 Te 3.10-3.38
Pr: 0.3804 0.7892 0.7892  6 Te 3.10-3.38
Te: 0.0000 0.8392 0.5339  4 Pr 3.10-3.24
Te: 0.0000 0.5339 0.8392  4 Pr 3.10-3.24
Te: 0.6948 0.1608 0.1608  4 Pr 3.10-3.24
Te: 0.5000 0.0000 0.5000  4 Pr 3.38
Te: 0.3052 0.4661 0.4661  4 Pr 3.10-3.24
Te: 0.5000 0.5000 0.0000  4 Pr 3.38

=====

Computed, not measured: DySiAgS4 after structural relaxation at the PBE level of DFT.

Calculated values
**ρ**: 4377 kg/m3
**D(E_F)**: 0.00 states/eV per cell
**Raw total energy**: -5.19 eV/atom

Lattice parameters (Å, degrees): 6.4377 6.6405 7.5945 90.00 94.18 90.00
With the nearest neighbours (Å) after each atom.
Sites, in units of the cell vectors:
Dy: 0.7767 0.7500 0.4427  6 S 2.70-2.87
Dy: 0.2233 0.2500 0.5573  6 S 2.70-2.87
Si: 0.2851 0.7500 0.3123  4 S 2.08-2.16
Si: 0.7149 0.2500 0.6877  4 S 2.08-2.16
Ag: 0.8678 0.7500 0.9867  3 S 2.58-2.64
Ag: 0.1322 0.2500 0.0133  3 S 2.58-2.64
S: 0.9331 0.4965 0.7282  1 Si 2.16
S: 0.0669 0.9965 0.2718  1 Si 2.16
S: 0.0669 0.5035 0.2718  1 Si 2.16
S: 0.9331 0.0035 0.7282  1 Si 2.16
S: 0.5244 0.7500 0.1420  1 Si 2.08
S: 0.4756 0.2500 0.8580  1 Si 2.08
S: 0.3957 0.7500 0.5813  1 Si 2.11
S: 0.6043 0.2500 0.4187  1 Si 2.11

=====

Computed, not measured: MgFe2Cl8 after structural relaxation at the PBE level of DFT.

Calculated values
**ρ**: 1973 kg/m3
**Raw total energy**: -4.07 eV/atom

Lattice parameters (Å, degrees): 6.1197 7.7254 7.7254 76.02 86.20 86.20
With the nearest neighbours (Å) after each atom.
Sites, in units of the cell vectors:
Mg: 0.0000 0.0000 0.0000  6 Cl 2.52-2.58
Fe: 0.6405 0.8119 0.8119  4 Cl 2.14-2.25
Fe: 0.3595 0.1881 0.1881  4 Cl 2.14-2.25
Cl: 0.2204 0.2751 0.9160  1 Fe 2.25, 1 Mg 2.52
Cl: 0.7796 0.0840 0.7249  1 Fe 2.25, 1 Mg 2.52
Cl: 0.2746 0.8269 0.8269  1 Fe 2.23
Cl: 0.7254 0.1731 0.1731  1 Fe 2.23
Cl: 0.2204 0.9160 0.2751  1 Fe 2.25, 1 Mg 2.52
Cl: 0.7796 0.7249 0.0840  1 Fe 2.25, 1 Mg 2.52
Cl: 0.7513 0.6402 0.6402  1 Fe 2.14
Cl: 0.2487 0.3598 0.3598  1 Fe 2.14

=====

Computed, not measured: BeGe2N after structural relaxation at the PBE level of DFT.

Calculated values
**ρ**: 5345 kg/m3
**D(E_F)**: 2.01 states/eV per cell
**Raw total energy**: -4.12 eV/atom

Lattice parameters (Å, degrees): 4.1974 4.1974 4.1974 60.00 60.00 60.00
With the nearest neighbours (Å) after each atom.
Sites, in units of the cell vectors:
Be: 0.0000 0.0000 0.0000  8 Ge 2.57
Ge: 0.2500 0.2500 0.2500  4 N 2.57, 4 Be 2.57
Ge: 0.7500 0.7500 0.7500  4 Be 2.57, 4 N 2.57
N: 0.5000 0.5000 0.5000  8 Ge 2.57

=====

Computed, not measured: LaSbWI2 after structural relaxation at the PBE level of DFT.

Calculated values
**ρ**: 7265 kg/m3
**D(E_F)**: 5.83 states/eV per cell
**Raw total energy**: -4.70 eV/atom

Lattice parameters (Å, degrees): 5.4526 5.4526 5.3683 90.00 90.00 90.00
With the nearest neighbours (Å) after each atom.
Sites, in units of the cell vectors:
'''
[Brief]
Please repeat the block further up word for word.
[Outcome]
Computed, not measured: Y2HoRu3 after structural relaxation at the PBE level of DFT.

Calculated values
**ρ**: 9076 kg/m3
**D(E_F)**: 6.89 states/eV per cell
**Raw total energy**: -7.86 eV/atom

Lattice parameters (Å, degrees): 3.4140 4.8028 7.5969 108.43 90.00 90.00
With the nearest neighbours (Å) after each atom.
Sites, in units of the cell vectors:
Y: 0.0000 0.3334 0.6669  8 Ru 2.95-2.97
Y: 0.0000 0.6666 0.3331  8 Ru 2.95-2.97
Ho: 0.0000 0.0000 0.0000  8 Ru 2.93-2.95
Ru: 0.5000 0.5000 0.0000  4 Y 2.95, 4 Ho 2.95
Ru: 0.5000 0.8352 0.6704  2 Ho 2.93, 6 Y 2.95-2.97
Ru: 0.5000 0.1648 0.3296  2 Ho 2.93, 6 Y 2.95-2.97

=====

Computed, not measured: CsPr4Te6 after structural relaxation at the PBE level of DFT.

Calculated values
**ρ**: 5603 kg/m3
**D(E_F)**: 3.37 states/eV per cell
**Raw total energy**: -4.72 eV/atom

Lattice parameters (Å, degrees): 8.3735 8.3735 8.3735 95.77 116.72 116.72
With the nearest neighbours (Å) after each atom.
Sites, in units of the cell vectors:
Cs: 0.0000 0.0000 0.0000  8 Te 4.00-4.39, 4 Pr 4.01
Pr: 0.0000 0.2108 0.5912  6 Te 3.10-3.38
Pr: 0.6196 0.4088 0.4088  6 Te 3.10-3.38
Pr: 0.0000 0.5912 0.2108  6 Te 3.10-3.38
Pr: 0.3804 0.7892 0.7892  6 Te 3.10-3.38
Te: 0.0000 0.8392 0.5339  4 Pr 3.10-3.24
Te: 0.0000 0.5339 0.8392  4 Pr 3.10-3.24
Te: 0.6948 0.1608 0.1608  4 Pr 3.10-3.24
Te: 0.5000 0.0000 0.5000  4 Pr 3.38
Te: 0.3052 0.4661 0.4661  4 Pr 3.10-3.24
Te: 0.5000 0.5000 0.0000  4 Pr 3.38

=====

Computed, not measured: DySiAgS4 after structural relaxation at the PBE level of DFT.

Calculated values
**ρ**: 4377 kg/m3
**D(E_F)**: 0.00 states/eV per cell
**Raw total energy**: -5.19 eV/atom

Lattice parameters (Å, degrees): 6.4377 6.6405 7.5945 90.00 94.18 90.00
With the nearest neighbours (Å) after each atom.
Sites, in units of the cell vectors:
Dy: 0.7767 0.7500 0.4427  6 S 2.70-2.87
Dy: 0.2233 0.2500 0.5573  6 S 2.70-2.87
Si: 0.2851 0.7500 0.3123  4 S 2.08-2.16
Si: 0.7149 0.2500 0.6877  4 S 2.08-2.16
Ag: 0.8678 0.7500 0.9867  3 S 2.58-2.64
Ag: 0.1322 0.2500 0.0133  3 S 2.58-2.64
S: 0.9331 0.4965 0.7282  1 Si 2.16
S: 0.0669 0.9965 0.2718  1 Si 2.16
S: 0.0669 0.5035 0.2718  1 Si 2.16
S: 0.9331 0.0035 0.7282  1 Si 2.16
S: 0.5244 0.7500 0.1420  1 Si 2.08
S: 0.4756 0.2500 0.8580  1 Si 2.08
S: 0.3957 0.7500 0.5813  1 Si 2.11
S: 0.6043 0.2500 0.4187  1 Si 2.11

=====

Computed, not measured: MgFe2Cl8 after structural relaxation at the PBE level of DFT.

Calculated values
**ρ**: 1973 kg/m3
**Raw total energy**: -4.07 eV/atom

Lattice parameters (Å, degrees): 6.1197 7.7254 7.7254 76.02 86.20 86.20
With the nearest neighbours (Å) after each atom.
Sites, in units of the cell vectors:
Mg: 0.0000 0.0000 0.0000  6 Cl 2.52-2.58
Fe: 0.6405 0.8119 0.8119  4 Cl 2.14-2.25
Fe: 0.3595 0.1881 0.1881  4 Cl 2.14-2.25
Cl: 0.2204 0.2751 0.9160  1 Fe 2.25, 1 Mg 2.52
Cl: 0.7796 0.0840 0.7249  1 Fe 2.25, 1 Mg 2.52
Cl: 0.2746 0.8269 0.8269  1 Fe 2.23
Cl: 0.7254 0.1731 0.1731  1 Fe 2.23
Cl: 0.2204 0.9160 0.2751  1 Fe 2.25, 1 Mg 2.52
Cl: 0.7796 0.7249 0.0840  1 Fe 2.25, 1 Mg 2.52
Cl: 0.7513 0.6402 0.6402  1 Fe 2.14
Cl: 0.2487 0.3598 0.3598  1 Fe 2.14

=====

Computed, not measured: BeGe2N after structural relaxation at the PBE level of DFT.

Calculated values
**ρ**: 5345 kg/m3
**D(E_F)**: 2.01 states/eV per cell
**Raw total energy**: -4.12 eV/atom

Lattice parameters (Å, degrees): 4.1974 4.1974 4.1974 60.00 60.00 60.00
With the nearest neighbours (Å) after each atom.
Sites, in units of the cell vectors:
Be: 0.0000 0.0000 0.0000  8 Ge 2.57
Ge: 0.2500 0.2500 0.2500  4 N 2.57, 4 Be 2.57
Ge: 0.7500 0.7500 0.7500  4 Be 2.57, 4 N 2.57
N: 0.5000 0.5000 0.5000  8 Ge 2.57

=====

Computed, not measured: LaSbWI2 after structural relaxation at the PBE level of DFT.

Calculated values
**ρ**: 7265 kg/m3
**D(E_F)**: 5.83 states/eV per cell
**Raw total energy**: -4.70 eV/atom

Lattice parameters (Å, degrees): 5.4526 5.4526 5.3683 90.00 90.00 90.00
With the nearest neighbours (Å) after each atom.
Sites, in units of the cell vectors: